Geoff Kelly Wine Reviews
Independent reviews of some local and imported wines available in New Zealand, including earlier vintages.


This is a narrative account summarising first tastes of wine achievements in the 2004 vintage in Hawkes Bay. The notes originate in Hawkes Bay Winemakers' presentation of their 2004 Hawkes Bay Vintage Review, held in Hastings on 13 October. First impressions of the vintage in Hawkes Bay are of a year not quite as warm and ripe as 2002, but with a splendid autumn. There are thus enhanced aromatics, but in some cases less body. There should be outstanding gewurztraminers, chardonnays and syrahs, and, where full ripeness was achieved, some exciting and flavoursome wines in the emerging Hawkes Bay Blends class. The latter are modelled on Bordeaux Blends from cabernet sauvignon, merlot and friends, since the Hawkes Bay climate so closely matches Bordeaux, but they seek a point of difference by permitting syrah, if the winemaker desires.

Merlot, Cabernet & the Hawkes Bay Blends

The evolving Hawkes Bay Blend group of reds are commanding great interest. They have the potential to become a class of wines as valid as Bordeaux Blends, or Super-Tuscans. Their claim to future fame may well rest on the judicious use of syrah in the blend, as the Bordelais did in the 1800s, and (sad to say) the Italians are tip-toeing into now.

Nowhere is it more important than in this grouping to say these comments are impressions only, based on barrel samples, based on works not only in progress, but not even half way through. For example, a number of the samples are reductive, as one would expect at this stage, but one tries to see through that. So anything can happen, between now and the final fined and settled-down blend as bottled. Further, some wineries with wines very relevant to this class did not participate in the exhibition (Mills Reef, Craggy Range, to name two glaringly obvious ones), or did not show their top wine (Te Mata Coleraine, Alpha Domus Aviator).

Of those shown, I was very taken with a velvety, rich and dense Church Road Merlot / Cabernet Reserve (14%), which had far more interest than any Tom to date (a sign of things to come ?), a more aromatic and cassisy Church Road Cabernet / Merlot Cuvee Series (and freakily, the sensory profiles of these two wines do seem to match the contrasting cepages), and a weighty (and reductive at this stage) Corbans Cottage Block Cabernet Franc (13.2%). I hope the latter won't end up too oaky, and will conserve the subtlety of the variety. Thus, at this moment my top three wines all spring from the Montana stable – not a firm hitherto noted for its 'claret' styles..

Next were a potentially very fragrant and reasonably rich Pask Merlot Reserve (13%), an almost peppery (+ve) and complex Corbans Private Bin Merlot / Cabernet (13.5%), and an aromatic cassis and pennyroyal Pask Cabernet / Merlot / Malbec (13.5%).

Looking to be at least silver medal contenders were another aromatic and pennyroyal wine, Te Mata Awatea (13.5%), a plummy but at this stage nearly astringent Te Awa Boundary, a flavoursome and fragrant Trinity Hills Merlot Gimblett Gravels (13.5%), an aromatic and plummy Clearview Old Olive Block (13.5%), and an intriguing Crab Farm Merlot (14%) tinged with smoked mussels.

Not quite so ripe and hence more in the middle of the field at this stage are an understated but agreeable-on-palate Alpha Domus Navigator (13.5%), a clearly varietal Ngatarawa Merlot (13.5%), an oaky and cassisy Vidal Cabernet Barrel Selection (13%), and a fragrant and cassisy Trinity Hill Cabernet Sauvignon Gimblett Gravels (13.5%).

More uncertain offerings included a Matariki Merlot, a disorganised Clearview Enigma (13.5%), an (?) out of condition Gunn Estate Merlot Woodshed (14%) which was hard to assess, a US-oaky Mission Cabernet / Merlot Jewelstone (13.9%), and a leafy Crab Farm Cabernet Franc (14.5%). A Sileni Estates Merlot Selection (c.14%) was light and fragrant, but much too stalky.

Two wines were so out of condition, they could not be assessed meaningfully: Sacred Hill Merlot Brokenstone (14%) and Sacred Hill Cabernet / Merlot Helmsman (14%). The colours and textures look promising, however. Their poor form was disappointing, for the '02 Brokenstone may well turn out to be the champion red from that vintage in Hawkes Bay, and '02 Helmsman is not far behind, so interest in their 04s is acute.

Where wines from the same winery have ended up in the same bracket, it is worth saying this arose from subsequent blind tasting, which gives one some faith in the effort involved in doing it.

Syrah (& Zinfandel)

Like the Hawkes Bay Blends, the syrahs are equally an exciting and potentially dramatic (and world-class) group of wines emerging in Hawkes Bay. The top wines in 2004 appear to display the enhanced aromatics which characterise the vintage, compared with 2002. There is little doubt now that the best syrahs from Hawkes Bay will capture complex varietal smells and flavours which can only be compared with the wines of Hermitage and Cote Rotie – e.g. the 2002 Trinity Hill Syrah Homage. One can only eagerly await the planting of true hillside sites, as opposed to slopes.

Again I must emphasise that the following notes are based on barrel samples, and anything is possible between now and bottling. For syrah in particular, the principal hazards are over-oaking, and reductive tendencies. Many of the wines already seem fully-oaked, if varietal expression is to be optimised. There is absolutely no point in us slavishly following the Australian / American obsession with heavily over-oaked shiraz / syrahs. Our climate permits us to create something of far greater beauty and subtlety. One can only wish that our syrah winemakers would make more creative use of immaculately clean but old oak – more than five vintages.

As a result of blind tasting, top wines for me included: a beautifully floral and aromatic Te Mata Woodthorpe Syrah / Viognier (13.5%), a reductive-at-the-moment but rich Vidal Barrel Selection (13.5%), an impressive Church Road Cuvee Series (13.5%), a sweetly-fruited, very rich, but oaky C J Pask (13%), and the leaner but clearly varietal Mission Jewelstone (14.2%). Any of these could be gold medal wines, noting the earlier caveats.

Down a notch then to a crisply aromatic Moana Park Tribute, the very reductive (now) but concentrated Matariki wine, and the peppery but fragrant Stonecroft Zinfandel (14%), clearly blueberry varietal.

At the next level is a slightly exotic Trinity Hill Gimblett Gravels (14%) reminding of the Montes Syrah from Chile, and an intensely star anise Stonecroft (14%).

Others include a slightly stalky and Crozes-Hermitage-styled Bilancia Syrah / Viognier (14%), a raspberry jam tart Sacred Hill (14%, which may have been out of condition), an estery, acid and stalky Kemblefield Zinfandel (14.5%), and an out-of condition Ngatarawa Syrah (13.5%), which shouldn't have been shown.

Pursuing zin in Hawkes Bay is a triumph of romance over reality. Even in the very centre of the hottest part of the Gimblett Gravels, it develops desirable varietal characters in very few vintages out of ten.


More great New Zealand chardonnays have come out of Hawkes Bay over the years, than any other district. Gisborne feels it is the Chardonnay capital of New Zealand, and by area this is correct (by the slimmest margin), but the upcoming wines of Marlborough, and the thus-far overlooked but infinitely exciting Otago chardonnays will provide great competition. Any or all of these districts would be happy to tumble Hawkes Bay from its chardonnay perch, so the pressure is on with this grape.

The 2004 vintage in Hawkes Bay looks to be superb for chardonnay. The best wines may show enhanced varietal character over the somewhat fatter 02s, and be even better wines. But, as with the reds, because most of these wines include barrel-aged material, these notes are merely interim impressions of wines midway through the winemaking process. The finished cleaned-up wines will almost certainly be different, and usually better. Many '04 chardonnays are being rushed onto the market early, however, because of the shortfall in the frost-affected 2003 chardonnay harvest.

Top wine for me at this stage included a beautifully proportioned Mission Jewelstone (14%), a sweetly-fruited Gunn Estate Skeetfield (14%), and a potentially delicious Sacred Hill Riflemans Terraces (14%). Provided they do not end up over-oaked, they could become classic Hawkes Bay chardonnays in an understated style, comparable with some of France's better white burgundies.

In the next tier were several that might be just as good, for there is a lot to happen yet in the evolution of these wines. These include a rich, peachy and crisp Te Awa, a still-reductive Corbans Cottage Block (13.5%), a more assertive Matariki with MLF and a trace of sweetness still showing, another rich, oaky, and characteristically boisterous Clearview (14.5%) with golden-queen peachy fruit going on mandarin, and an understated crisp Ngatarawa (13.5%).

Wines which were harder to assess due to carried-over fermentation complexities included a hessian and slightly acid Pask (13.5%), a still-lactic and spirity but sweetly fruited Askerne (14.5%), a peachy and rich Sileni Estates Cellar Selection (13.2%), a reductive and oaky Sacred Hill Barrel-Fermented (14%), and the more reductive Corbans Private Bin (13.8%) and Church Road Reserve (14%), no doubt to be transformed when cleaned up.

Other wines even harder to penetrate at this stage included a rather ersatz, tropical and still sweet Vidal Barrel Selection (13.5%) from 100% new oak, a very reductive Church Road Cuvee (14%) and Crab Farm Reserve (13.5%, not quite dry), and an oxidised Kemblefield Distinction (14.5%).

I tasted only two unoaked chardonnays: a pure and attractive but slightly sweet Vidal Unwooded (14.3%) in the top half of the field, and a volatile Kim Crawford (12.6%), lower down.

In this class particularly, but also elsewhere, it is a mystery to me why wineries do not clean up their reductive half a dozen bottles needed for this exhibition. The time requirement is not great.

Viognier (& Verdelho)

Viognier is undoubtedly an exciting variety in New Zealand at the moment, though whether such an exotic and demanding variety can take over from a safely-bland variety such as fashionable pinot gris seems dubious. In our relatively unsophisticated market, some of the viogniers thus far commercialised in New Zealand have lacked much varietal character. On the plus side, virtually all the good ones so far have come from Hawkes Bay. As with chardonnay, many of the viogniers are barrel samples, so the comments are provisional.

The rich Vidal Barrel Selection (14%), lighter Alpha Domus (14%), flavoursome Trinity Hill (14.5%) and oaky at this stage Te Mata Woodthorpe (14.5%) all captured the exact orange blossom and canned apricots qualities of the variety beautifully, though the first three being not quite bone dry are a bit more juicy (and popular in style) at this stage. These wines showed thoughtful handling (sometimes including barrel-ferment) in older oak, and any of them could end up as the champion viognier of the vintage.

The Church Road Cuve Series (14.9%) sample at this stage was very reductive, making comparison difficult. It is rich, though. Against the charms of viognier, the Esk Verdelho Black Label (14.5%) is related in style, pure, but modest (and acid). It is a pretty charmless variety in Australia, too, though some of their winemakers talk it up.

Our best viogniers as seen so far from Te Mata confirm that in good years we can ripen the grape to full physiological maturity, but in a more vibrant and fresher style than most Australian examples. Our wines are therefore better compared with those of Condrieu. In terms of physiological ripening relative to Australia, viognier thus mimics syrah exactly, in Hawkes Bay. In a marketing sense, our greatest viognier competition stylewise will come not from the weightier wines of Australia, or from the more exclusive and expensive wines of Condrieu, but from the burgeoning modern wineries of the Languedoc, as the splendidly affordable 2003 Lurton Viognier already demonstrates.

# Between two parts of the article: records of crystals
____________
No. 1
Na14Ca4Y4Si5S7O48 | GGA-PBE | relaxed

a = 9.4845 Å, b = 16.4563 Å, c = 23.4995 Å
α = 89.99°, β = 90.00°, γ = 89.98°
Sites, in units of the cell vectors:
Na 0.0000 0.0000 0.0000
Na 0.0015 0.6686 0.6705
Na 0.0215 0.3426 0.0135
Na 0.0624 0.0001 0.3317
Na 0.1548 0.8485 0.7494
Na 0.1608 0.8514 0.2475
Na 0.1663 0.4844 0.0867
Na 0.1663 0.5015 0.5874
Na 0.1713 0.1407 0.4160
Na 0.1750 0.1423 0.9218
Na 0.2735 0.9947 0.8374
Na 0.3190 0.3380 0.5059
Na 0.3209 0.6546 0.1599
Na 0.3287 0.9834 0.1683
Na 0.3309 0.0124 0.4995
Na 0.3613 0.3260 0.8368
Na 0.3638 0.6696 0.8406
Na 0.4721 0.1662 0.3347
Na 0.4743 0.8277 0.3319
Na 0.5063 0.4890 0.6774
Na 0.5057 0.5172 0.0007
Na 0.5154 0.1525 0.6668
Na 0.5395 0.8365 0.0060
Na 0.5625 0.4986 0.3289
Na 0.6585 0.6470 0.4192
Na 0.6650 0.9815 0.5910
Na 0.6747 0.3496 0.7551
Na 0.6751 0.6572 0.9265
Na 0.6771 0.9896 0.0782
Na 0.6784 0.3476 0.2424
Na 0.7715 0.5010 0.8383
Na 0.8112 0.8434 0.5139
Na 0.8273 0.5157 0.4985
Na 0.8329 0.1658 0.1658
Na 0.8392 0.4771 0.1677
Na 0.8571 0.1666 0.8395
Na 0.8583 0.1343 0.5021
Na 0.8656 0.8206 0.8348
Na 0.9619 0.6498 0.9987
Na 0.9730 0.6715 0.3333
Na 0.9744 0.3212 0.3170
Na 0.9936 0.9756 0.6740
Ca 0.1555 0.8394 0.9060
Ca 0.1627 0.1575 0.7652
Ca 0.1636 0.1626 0.2619
Ca 0.1679 0.1570 0.5726
Ca 0.1695 0.4981 0.9343
Ca 0.1706 0.8398 0.4040
Ca 0.6636 0.3386 0.9045
Ca 0.6641 0.9967 0.4335
Ca 0.6702 0.6615 0.0705
Ca 0.6712 0.3399 0.4024
Ca 0.6719 0.6625 0.7634
Ca 0.6727 0.6573 0.2636
Y 0.1535 0.8411 0.0965
Y 0.1632 0.4853 0.2301
Y 0.1633 0.4939 0.7360
Y 0.1661 0.1603 0.0724
Y 0.1677 0.8399 0.6021
Y 0.1717 0.5029 0.4344
Y 0.6664 0.3389 0.1012
Y 0.6665 0.6617 0.5730
Y 0.6679 0.9987 0.9366
Y 0.6704 0.3398 0.6003
Y 0.6701 0.9938 0.2347
Y 0.6706 0.9846 0.7318
Si 0.0092 0.3144 0.1674
Si 0.0106 0.9860 0.4996
Si 0.0120 0.0113 0.1707
Si 0.3214 0.9863 0.0010
Si 0.3257 0.0136 0.6676
Si 0.3647 0.9992 0.3353
Si 0.4693 0.4984 0.8334
Si 0.5111 0.4846 0.5013
Si 0.5112 0.5140 0.1691
Si 0.8237 0.8145 0.6663
Si 0.8247 0.5120 0.6677
Si 0.8255 0.4840 0.9995
Si 0.8566 0.8286 0.9966
Si 0.8689 0.4992 0.3371
Si 0.9679 0.0003 0.8342
S 0.0160 0.6808 0.5007
S 0.0184 0.3458 0.8357
S 0.0211 0.6474 0.8343
S 0.3148 0.6483 0.3328
S 0.3149 0.6824 0.0016
S 0.3160 0.3475 0.3379
S 0.3201 0.3154 0.6670
S 0.3621 0.6623 0.6701
S 0.3625 0.3288 0.9998
S 0.4714 0.8283 0.4996
S 0.4725 0.1629 0.1704
S 0.5126 0.8145 0.1690
S 0.5162 0.8464 0.8366
S 0.5188 0.1843 0.5013
S 0.5203 0.1483 0.8324
S 0.8147 0.1481 0.3362
S 0.8162 0.8455 0.3361
S 0.8191 0.1827 0.0008
S 0.8579 0.1669 0.6680
S 0.9709 0.3306 0.4999
S 0.9776 0.6660 0.1695
O 0.0432 0.2679 0.2273
O 0.0455 0.4007 0.7858
O 0.0467 0.0686 0.1147
O 0.0500 0.5977 0.8853
O 0.0512 0.9276 0.5545
O 0.0516 0.7262 0.4482
O 0.0557 0.4076 0.4963
O 0.0620 0.5893 0.1750
O 0.0630 0.4103 0.1664
O 0.0655 0.9173 0.8321
O 0.0668 0.0836 0.8359
O 0.0678 0.2613 0.5081
O 0.0718 0.5954 0.4986
O 0.0733 0.3840 0.8878
O 0.0740 0.2683 0.1113
O 0.0743 0.6033 0.7823
O 0.0751 0.7206 0.5518
O 0.0756 0.9452 0.4418
____________

Pinot Gris

By far the most interesting wine in this group was the Mission Pinot Gris (12.6%), which has beautiful floral and varietal smells and flavours, at the lowest alcohol, and on a totally dry finish. It reminds clearly of the Alsatian prototype, and should be a gold medal wine. Mission has more experience with this variety than any other winery in New Zealand, having produced fine examples in the late 70s / early 80s. Those grapes provided planting stock for New Zealand's most acclaimed pinot gris today, the Dry River.

In comparison with the Mission, the spirity Esk Valley Black Label (14%) wine is more the standard bland New Zealand pear-flesh wine, quite rich, some sweetness. The Morton Kinross Pinot Gris (13%) is interesting as a fuller-bodied totally dry white, though at this stage it is more chardonnay-like on the oak, than varietal. This could have potential, if already bottled. Their White Label (14%) did not show so happily, smelling organic and tasting acid, for the moment. It too is dryer than the commercial average, and should settle down once in bottle.


2004 looks to be an exceptional vintage for aromatic varieties in Hawkes Bay, nowhere moreso than in gewurz. The exciting pair of Mills Reef '04s have already been put on the market, and were not in this exhibition. The Clearview Gewurz (13%) is a lighter, more floral, yet 'dry' example of the grape, very pretty. In contrast, the spirity Morton Estate White Label (15%)was the most varietal wine shown in this batch, but the rough dry finish won't please everybody. The Stonecroft (13.5%) wine is a bit congested on bouquet, but there is good fruit on palate, helped by some residual sweetness – marginal for the dry class. Kemblefield's Gewurztraminer Distinction (13%) has lots of character and is 'dry', but the sur lie component is hard and reductive at this stage, and probably too much for ultimate beauty, if this wine is already bottled. The Crab Farm (14%) is fresher, lighter, dry, and though tending phenolic, it is mild in flavour. Good gewurztraminer was never meant to be easy.